Could you work out how many lines underneath have the word "O1" in them; a number is enough?
********
No. 1
Computed, not measured: an optimized crystal structure of BaCaV4O8 at the PBE with a Hubbard U level of DFT.

Computed properties:
calculated total energy = -104.2 eV for the cell shown
calculated density = 3.98 g/cm3

```
BaCaV4O8
1.0
2.787 -4.828 0.000
2.787 4.828 0.000
0.000 0.000 7.886
O Ba V Ca
8 1 4 1
direct
0.670 0.670 0.306 O
0.667 0.333 0.000 O
0.000 0.670 0.694 O
0.330 0.330 0.694 O
0.000 0.330 0.306 O
0.333 0.667 0.000 O
0.330 0.000 0.306 O
0.670 0.000 0.694 O
0.000 0.000 0.000 Ba
0.333 0.667 0.759 V
0.667 0.333 0.759 V
0.667 0.333 0.241 V
0.333 0.667 0.241 V
0.000 0.000 0.500 Ca
```



No. 2
Computed, not measured: an optimized crystal structure of Ba2CaWO6 at the PBE with a Hubbard U level of DFT.

Computed properties:
calculated total energy = -280.8 eV for the cell shown
calculated density = 6.36 g/cm3

```
Ba2CaWO6
1.0
8.530 0.000 0.000
0.000 8.530 0.000
0.000 0.000 8.530
O Ca Ba W
24 4 8 4
direct
0.979 0.734 0.234 O
0.766 0.734 0.479 O
0.979 0.266 0.766 O
0.521 0.234 0.734 O
0.234 0.979 0.734 O
0.021 0.734 0.766 O
0.266 0.521 0.766 O
0.266 0.234 0.021 O
0.734 0.479 0.766 O
0.234 0.266 0.479 O
0.234 0.734 0.521 O
0.734 0.234 0.979 O
0.766 0.021 0.734 O
0.021 0.266 0.234 O
0.266 0.479 0.234 O
0.734 0.766 0.021 O
0.266 0.766 0.979 O
0.521 0.766 0.266 O
0.479 0.234 0.266 O
0.479 0.766 0.734 O
0.766 0.979 0.266 O
0.766 0.266 0.521 O
0.734 0.521 0.234 O
0.234 0.021 0.266 O
0.750 0.750 0.750 Ca
0.250 0.750 0.250 Ca
0.250 0.250 0.750 Ca
0.750 0.250 0.250 Ca
0.500 0.500 0.500 Ba
0.500 0.500 0.000 Ba
0.000 0.000 0.000 Ba
0.000 0.500 0.000 Ba
0.500 0.000 0.500 Ba
0.000 0.000 0.500 Ba
0.500 0.000 0.000 Ba
0.000 0.500 0.500 Ba
0.750 0.250 0.750 W
0.250 0.750 0.750 W
0.250 0.250 0.250 W
0.750 0.750 0.250 W
```



No. 3
Computed, not measured: an optimized crystal structure of Ba2CaWO6 at the PBE with a Hubbard U level of DFT.

Computed properties:
calculated total energy = -70.2 eV for the cell shown
calculated density = 6.38 g/cm3

```
Ba2CaWO6
1.0
-0.346 4.930 -3.450
2.214 -0.083 -5.605
-3.745 0.118 -4.721
O W Ba Ca
6 1 2 1
direct
0.730 0.270 0.270 O
0.270 0.730 0.730 O
0.730 0.270 0.730 O
0.730 0.730 0.270 O
0.270 0.270 0.730 O
0.270 0.730 0.270 O
0.500 0.500 0.500 W
0.250 0.250 0.250 Ba
0.750 0.750 0.750 Ba
0.000 0.000 0.000 Ca
```



No. 4
Computed, not measured: an optimized crystal structure of Ba2CaWO6 at the PBE with a Hubbard U level of DFT.

Computed properties:
calculated total energy = -70.2 eV for the cell shown
calculated density = 6.37 g/cm3

```
Ba2CaWO6
1.0
-3.012 3.012 4.269
3.012 -3.012 4.269
3.012 3.012 -4.269
O Ba W Ca
6 2 1 1
direct
0.270 0.270 0.000 O
0.261 0.279 0.540 O
0.279 0.739 0.018 O
0.721 0.261 0.982 O
0.730 0.730 0.000 O
0.739 0.721 0.460 O
0.750 0.250 0.500 Ba
0.250 0.750 0.500 Ba
0.500 0.500 0.000 W
0.000 0.000 0.000 Ca
```



no.,V (Å³ per cell)
1,212.22
2,620.66
3,154.82
4,154.90


(1)
A geometry-optimized NaI structure, computed with meta-GGA r2SCAN.

Cell: 4.5519 4.5519 4.5519 Å, 60.00 60.00 60.00°
Atoms (fractional coordinates):
Na1 0.0000 0.0000 0.0000
I1 0.5000 0.5000 0.5000

Summary:
- volume (Å³ per cell) = 67
- energy of formation from the pure elements (eV/atom) = -1.48
- VASP energy (eV/atom) = -15.54



(2)
A geometry-optimized K3Bi2 structure, computed with meta-GGA r2SCAN.

Cell: 6.7973 6.7973 9.4488 Å, 79.00 79.00 92.37°
Atoms (fractional coordinates):
K1 0.8437 0.1563 0.7500
K2 0.3445 0.2394 0.4838
K3 0.7606 0.6555 0.0162
K4 0.6555 0.7606 0.5162
K5 0.2394 0.3445 0.9838
K6 0.1563 0.8437 0.2500
Bi1 0.6804 0.1138 0.1549
Bi2 0.8862 0.3196 0.3451
Bi3 0.3196 0.8862 0.8451
Bi4 0.1138 0.6804 0.6549

Summary:
- volume (Å³ per cell) = 419
- energy of formation from the pure elements (eV/atom) = -0.46
- VASP energy (eV/atom) = -27.48



(3)
A geometry-optimized SiO2 structure, computed with meta-GGA r2SCAN.

Cell: 13.6661 13.6661 8.9642 Å, 90.00 90.00 120.00°
Atoms (fractional coordinates):
O1 0.6307 0.0000 0.5421
O2 0.5809 0.1618 0.0000
O3 0.8382 0.4191 0.5000
********
1